Plastic model info and how tos

Aurora Plastic Model Kits -- A Brief History

By Alan Bussie

Many thanks to John Burns, Tom Graham and the innumerable number of collectors who have helped to compile this information over the years. Without your tireless attention to detail, this would be impossible.

Aurora was one of the most prolific names in American Modeling from 1952 to 1977. The line was very diverse and included military and civil aircraft, ships, tanks, missiles, figures (monster and many others), science fiction, automotive, animals, guns, totem poles, HO train items, electronic kits, “Coppersmith” sets, prehistoric scenes and more.

The Early Years – The Brooklyn Era

In 1950, Abe Shikes and Joseph Giammarino created Aurora as an injection molding job-shop. Injection molding was booming in post-war American and business went well. In 1952, they hired a salesman named John Cuomo. The three produced many toys but quickly realized that plastic model kits were the wave of the future, so they banked Aurora’s future on it.

Kit production started in the Brooklyn Plant in late 1952. These kits were in one-piece flip-top boxes and carried the circular logo and the “U-Ma-Kit” slogan. The first two kits were the 1/48 F9F Panther Jet (kit #22) and 1/48 Lockheed F-90A (kit #33). These first two kits carried no landing gear or missiles and had minimal rivet and panel line detail. Box art was simple and used two colors. There was no price extension after the kit number.

First Issue Aurora F-90A #33

Issues exist with the instructions printed on the inside of the box and with the instructions printed on a separate piece of paper.

If you have the early Hawk releases of the F9F or F-90,you will notice that they are almost exact copies of each other, down to the stand design. The Hawk kits predate the Aurora kits but there is no evidence of mold swapping. To keep production costs and time down, Aurora simply purchased the two Hawk kits, copied the dimensions of the kits and made their own molds. The Mates Brothers, owners and operators of Hawk, were not happy. Reportedly, sharp words were exchanged at trade shows. Hawk began hiding the word ‘HAWK’ in morse code in rivet detail. However, Aurora did not copy any further Hawk kits and after many years tensions eased to the point where each company could joke about the incident at future shows.

From the start, Aurora marketing strategy was simple and effective. Revell and Monogram prided themselves on making kits that were highly accurate and had the maximum number of operating features. Aurora simply wanted to sell low- priced kits of fascinating new subjects to the younger audience. The accuracy of early Aurora kits suffered accordingly, but the young model market did not care. Injection molded kits were completely pre-shaped and went together quickly with out carving or sanding. Prior to this, most airplane kits came with blocks of wood and plans -leaving the builder to carve, whittle and scratchbuild in such a fashion that most models were never completed. Injection molding changed that and introduced an entire generation of boys to model building. At Aurora, Shikes and Giammarino kept overhead low and operated with a minimal staff. Many ‘Lean’ Manufacturing practices (Toyota Production System) were put into place long before they were practiced in Japan. The mold presses ran 24 hours a day and some popular kits had runs of over 1,000,000 copies. Aurora had no trouble turning a profit. It was the right strategy for the 1950s/early 1960s, but not for the future.

The success of the the first two “Hawk Copy” kits encouraged Aurora to cut six more molds. These kits, with the F-90 and F9F, constitute the famous and rare “Brooklyn Eight” from 1953. The new kits were the P-40E, Me-109, Yak-25 (Mig-19), F-86D, Zero and P-38L.

Price extensions were used for the first time. All eight did not have landing gear or missiles and have minimal panel line and rivet detail. The rectangular stand was retained with “Brooklyn” etched on the base. The circular logo was dropped and a new one with the word “Aurora” curved into a rising sun was substituted. The “U-Ma-Kit” logo was retained on the sides and the “Famous Fighters of All Nations” slogan was introduced on the box top. Due to the weakness of the one-piece box, two piece lift-off boxes were used. These are “hard-boxes”, or boxes of stiff cardboard with a paper lithograph (called a “slick”) glued to the top box. The artist Jim Cox was contracted to do the boxes and instructions. Jim's paintings were very colorful and action-packed, which certainly lead to increased sales. Other Brooklyn releases include the USS Nautilus submarine.

The Boom Time –West Hempstead Era

By the mid 1950s, plastic kits were selling very well. In a survey, approximately 80% of all young boys said that modeling was their primary hobby. This is more significant when you realize that ‘model building’ never even made it to the list of boy’s hobbies before this time. Aurora’s gamble had paid off, and the future belonged to plastic. To meet increased demand, the factory moved to a larger facility in West Hempstead in 1954. The colorful two-piece hard box became the mainstay. The first logos from the new plant were “Aurora” curved into the rising sun but with “West Hempstead” replacing “Brooklyn” immediately below it on the box sides.

Misplaced calculated crystals.
'''
# 1
{
  "formula": "BaTlIn3",
  "functional": "PBE-GGA",
  "state": "relaxed",
  "lattice_angstrom": [[5.1328, 0.0000, 0.0000], [0.0000, 5.1328, 0.0000], [2.5664, 2.5664, 6.1521]],
  "species": ["In", "In", "In", "Ba", "Tl"],
  "frac_coords": [[0.3827, 0.3827, 0.2346], [0.2500, 0.7500, 0.5000], [0.6173, 0.6173, 0.7654], [0.0000, 0.0000, 0.0000], [0.7500, 0.2500, 0.5000]],
  "spacegroup": "I-4m2, No. 119",
  "mass_density_g_cm3": 7.03,
  "formation_enthalpy_0k_ev_per_atom": -0.31
}

=====

# 2
{
  "formula": "K2LaI5",
  "functional": "PBE-GGA",
  "state": "relaxed",
  "lattice_angstrom": [[9.3315, 0.0000, 0.0000], [0.0000, 9.9837, 0.0000], [0.0000, 0.0000, 14.7110]],
  "species": ["I", "I", "I", "I", "I", "I", "I", "I", "I", "I", "I", "I", "I", "I", "I", "I", "I", "I", "I", "I", "La", "La", "La", "La", "K", "K", "K", "K", "K", "K", "K", "K"],
  "frac_coords": [[0.1290, 0.7500, 0.6820], [0.3337, 0.9554, 0.9217], [0.6663, 0.0446, 0.0783], [0.8710, 0.2500, 0.3180], [0.6651, 0.7500, 0.7932], [0.1663, 0.9554, 0.4217], [0.3710, 0.7500, 0.1820], [0.6663, 0.4554, 0.0783], [0.6290, 0.2500, 0.8180], [0.8337, 0.0446, 0.5783], [0.8337, 0.4554, 0.5783], [0.8349, 0.7500, 0.2932], [0.1663, 0.5446, 0.4217], [0.1651, 0.2500, 0.7068], [0.4287, 0.2500, 0.4931], [0.0713, 0.2500, 0.9931], [0.3349, 0.2500, 0.2068], [0.3337, 0.5446, 0.9217], [0.5713, 0.7500, 0.5069], [0.9287, 0.7500, 0.0069], [0.9226, 0.7500, 0.5055], [0.5774, 0.7500, 0.0055], [0.0774, 0.2500, 0.4945], [0.4226, 0.2500, 0.9945], [0.4497, 0.5051, 0.6713], [0.5503, 0.0051, 0.3287], [0.9497, 0.4949, 0.8287], [0.4497, 0.9949, 0.6713], [0.5503, 0.4949, 0.3287], [0.0503, 0.5051, 0.1713], [0.9497, 0.0051, 0.8287], [0.0503, 0.9949, 0.1713]],
  "spacegroup": "Pnma, No. 62",
  "mass_density_g_cm3": 4.13,
  "formation_enthalpy_0k_ev_per_atom": -1.77
}

=====

# 3
{
  "formula": "Ti2MnRe",
  "functional": "PBE-GGA",
  "state": "relaxed",
  "lattice_angstrom": [[0.0000, 3.0608, 3.0608], [3.0608, 0.0000, 3.0608], [3.0608, 3.0608, 0.0000]],
  "species": ["Ti", "Ti", "Mn", "Re"],
  "frac_coords": [[0.2500, 0.2500, 0.2500], [0.7500, 0.7500, 0.7500], [0.5000, 0.5000, 0.5000], [0.0000, 0.0000, 0.0000]],
  "spacegroup": "Fm-3m, No. 225",
  "mass_density_g_cm3": 9.75,
  "formation_enthalpy_0k_ev_per_atom": -0.30
}

=====

# 4
{
  "formula": "NaPrZr4O12",
  "functional": "PBE-GGA",
  "state": "relaxed",
  "lattice_angstrom": [[0.0000, 4.0933, 4.0842], [0.0000, -4.0933, 4.0842], [8.3700, 0.0000, 0.0000]],
  "species": ["Pr", "O", "O", "O", "O", "O", "O", "O", "O", "O", "O", "O", "O", "Zr", "Zr", "Zr", "Zr", "Na"],
'''

Some short-run releases were made using Brooklyn box art and this logo with the Brooklyn price extension. The “U-Ma-Kit” logo was dropped and new price extensions appeared after kit number shortly after. At this time, old releases had the molds modified for increased rivet detail, and landing gear and bombs or missiles were added.

The F6F, Spitfire, FW-190, XFV-1 Pogo and Convair XFY-1 kits were introduced early in the West Hempstead era, along side the Milk Truck and Gas Truck. Other kits followed very quickly. By about 1955 the logo was given flash of color and read “Aurora Line”. At this time, external pressures resulted in Aurora dropping the swastikas from German aircraft. This created some rare box variations as old artwork was quickly touched up with replacement German crosses while completely new art was developed.

In 1956 the famous World War I series of aircraft kits were introduced in 1/48 scale with the new rectangular large “Northern Lights ” logo. New World War II aircraft were released as well. In the same year, Aurora obtained the molds from Helicopters for Industry and released the S-55, H-21, H-25, HOK-1 and Hornet with the “Northern Lights” logo.

In 1957 the famous oval Sunburst “Famous Fighters” (SBFF) logo was first used as on this Regulus with Launcher and the rectangular stand changed to the triangular base ‘globe’ stand.

The revised stand caused most decals to be altered slightly to include the model’s name in a triangle. Around 1958 the first Aurora airliner kits were introduced and became an instant hit. The last use of the SBFF logo was about 1959. In 1960 the same Sunburst was used, but the words “Famous Fighters” were dropped, as shown on this N-156 (F-5)

In some cases, the “Famous Fighters” was retained on the side panel logo but without the sunburst. The era from 1953 to 1960 can be confusing for Aurora due to the numerous variety of price extensions, logos (or combinations of logos), box art, plastic colors and instructions. Some have commented that Aurora must have had poor quality control at this time. Instead of jumping directly to that conclusion, it is important to remember that Aurora Plastics Corporation was a business. Excess stock of boxes, instructions, stands, etc represented a dollar value of inventory. These parts were used, even if not in the “correct” way. You may find a rectangular stand or Aurora Line instructions in a SBFF box. The collector should be aware that this could also be a “married” kit with parts from another box. (Such variations, either from the factory or otherwise, will be noted when possible in model descriptions on this site.) People living in West Hempstead have told me of “Aurora Sales” to local boys. Sometimes kits with no boxes were sold for 25 cents direct from the factory. Still others went through the trash to recover parts of kits in hopes of making a complete kit. Test shots, used to verify correct mold operation, also exist and can be in transparent or odd colored plastic. On very rare occasions test shots were accidentally packed and sent to the market place.

International Sales

Aurora did market kits internationally from the 1950s forward. “Playcraft Toys” in Great Britain marketed these kits in boxes and in bags with header cards from about 1957 to 1964. Price extensions were dropped for Playcraft issues. This is the only known Aurora release in bags with header cards, making these kits desirable to collectors. From 1968 on Aurora kits were marketed in Great Britain by Aurora/Great Britain. From 1958 on Aurora distributed kits from Aurora/Netherlands. Sometimes the artwork on these kits varied from the USA artwork, such as on the F-107 kit. Aurora/Canada issued kits for that market from 1964 on. Again, there is some box art variation, like the B-25.

The 1960s

The 1960s were a happy and busy time for modelers, and Aurora and its competitors released dozens of new kits. In 1963, Aurora purchased Comet and many of their kits were released with new box artwork. Comet often had the same aircraft in two scales, such as the Beech 18, B-58 and the Boeing 707. In most cases, Aurora reissued both scales which could lead to one kit being marketed in three scales! The B-58 is one example. Comet’s smaller line of civil aircraft in near 1/72 sold well, and the success apparently lead Aurora to add to this line with new aircraft such as the Piper Aztec, Jet Commander, Cessna Skymaster and more. In addition to Comet, Aurora leased three molds from Strombecker for the T-37, A-37 and TT-1. Around this time Jo Kotula, the famous aviation illustrator, was hired to do the Aurora box art to provide a new look.

Movie and Television tie-ins were used when possible. In 1965 Aurora released several WWII aircraft kits with the “Twelve O’clock High” logo. The B-17 kit was a special release with three B-17s, bombing base, stands, a poster and special battle damage decals. B-25 and B-26 kits were released with battle damage decals, as well as some single seat fighters but without special decals.

Ships were released in special promotional boxes for the movies “Dr. Doolittle” and “The Buccaneer”.

In the 1960s the famous Monster, Movie and Television figures began production. These kits fueled the “Monster” craze that swept the nation, as popularized with the TV shows ‘The Addams Family’ and ‘The Munsters’. The Aurora figure kits sold so well that other companies found themselves playing ‘catch-up’ to Aurora’s find. Monster kits became bolder and bolder until public outcry put an end to them. During this time Aurora also released the popular Coppersmith kits and less successful Electronic kits. Several new airliners were introduced including the Convair 880 and 990. As newer airlines appeared, some older kits were re-boxed with new livery art and decals. In the early 1960s the Aurora dropped the sunburst and Famous Fighters for good and the logo changed to the oval with the “Aurora” inside. Price extensions were still being used at this time but are often over-stamped with a new (higher) price or blanked/punched out at the factory.

A Change of Owners

In 1969, Charles Diker, a former Revlon Vice-President, gained control of Aurora through stock purchases. Shikes was the last of the original three to leave. Diker did not agree with how Aurora had been run, and was determined to turn it into a larger corporation and to diversify. Spending was increased, and quality was improved. The new molds were much better, but not necessarily up to modern standards. Many older molds were still used but the kits did not sell well.

The Demise of Aurora

In about 1970, Aurora introduced the “Big A” logo consisting of a large “A” with the word Aurora written in the crossbar, as in the complicated Sealab kit.

Box art, which has been fairly consistent through the 1960s, changed again. Model building as an established hobby was maturing and older builders were demanding accuracy. Aurora was introducing fewer new molds and the accuracy of many older molds was less than perfect. Meanwhile, Monogram and Revell continued to expand their accurate kit lines and this was finally paying bigger dividends in the new market. International competition was making inroads into the US market with very nicely produced kits from Frog, Airfix and others. Aurora needed to act. In about 1972 they modified the molds from many WWI aircraft to make them more accurate. Some new, more accurate molds were made including the Skycrane, Cheyenne and Soviet ASW Cruiser Moscow. They were greatly improved kits, but it was too little, too late. Aurora had lost money every year since Diker took over. Nabisco bought Aurora in 1971 and Diker left in 1975. The former president of Mattel Canada, Boyd W. Brown, was brought in next. But the years of quick-sell products and recent high spending had caught up. In 1977 Aurora ended all kit production and Nabisco sold all the molds to Monogram. During shipment to Morton Grove, IL, five molds were destroyed: Jet Commander, Albatross CIII, Halberstadt CLII, Breguet XIV and Skymaster. This has created a greater demand for these kits.

Monogram released some of the WWI kits, submarines and a few airliners in the 1970s. (click here for Monogram history.) Monogram was bought by Odyssey in 1986. Revell (history) was purchased by Odyssey at time also, and the three company’s molds were pooled together at Monogram’s old plant. If you know of any mold swapping of Aurora kits under Revell or Monogram names from 1986 forward, please email me. Obviously, the molds for many Aurora kits still exist (or simply copied from kits) as evidenced by the reissued from Polar Lights/Playing Mantis. The condition of the molds that have not been used for years is questionable. Molds must be maintained or they will decay and become unusable. If you can confirm mold status on any of the old Aurora molds, please email me.
